Second Asia-Pacific Bioconductor Meeting

Venue: QUT, Brisbane, Australia

### Between two parts of the piece: calculated crystals
┌──
Starting from DFT lattice parameters and positions (GGA-PBE), the PXRD pattern of Rb2PaGeS5 was computed for Cu Kα X-rays.

Structure:
Unit cell a=18.9549 b=4.2407 c=14.1530 alpha=90.00 beta=90.02 gamma=90.00
Space group Cm (No. 8)
One atom of each set of equivalent atoms:
1 Rb 0.0000 0.0000 0.0000 x2
2 Rb 0.0102 0.0000 0.3479 x2
3 Rb 0.2406 0.0000 0.8482 x2
4 Rb 0.2505 0.0000 0.5004 x2
5 Pa 0.3254 0.0000 0.1986 x2
6 Pa 0.4249 0.5000 0.6988 x2
7 Ge 0.0652 0.5000 0.5991 x2
8 Ge 0.1851 0.5000 0.0986 x2
9 S 0.0721 0.0000 0.6806 x2
10 S 0.1169 0.5000 0.4625 x2
11 S 0.1335 0.5000 0.9619 x2
12 S 0.1781 0.0000 0.1801 x2
13 S 0.2956 0.5000 0.6769 x2
14 S 0.3102 0.5000 0.0704 x2
15 S 0.3223 0.5000 0.3154 x2
16 S 0.4281 0.0000 0.8155 x2
17 S 0.4401 0.0000 0.5705 x2
18 S 0.4547 0.0000 0.1767 x2

Peak list (8 most intense, 5 to 70 degrees two-theta, low angle first)
2θ 11.24, I 38.9
2θ 12.51, I 40.2
2θ 15.63, I 51.1
2θ 21.04, I 42.0
2θ 26.08, I 32.2
2θ 28.69, I 100.0
2θ 28.96, I 47.7
2θ 34.16, I 37.6

=====

Starting from DFT lattice parameters and positions (GGA-PBE), the PXRD pattern of Pa4Re7Ge6 was computed for Cu Kα X-rays.

Structure:
Unit cell a=8.4575 b=8.4575 c=8.4575 alpha=90.00 beta=90.00 gamma=90.00
Space group Im-3m (No. 229)
One atom of each set of equivalent atoms:
└──

Date: Friday 4th November 2016

Overview. The Bioconductor project has undergone significant growth over the past 15 years, with over 1,200 packages for high-throughput genomic analysis included in the latest release. Many popular software tools from the project are developed by researchers from the Asia-Pacific region. To enhance collaboration and provide an avenue for networking, the Second Bioconductor Asia meeting will be held following the ABACBS 2016 conference ( This one-day event aims to bring together researchers with an interest in the Bioconductor project to provide a forum for exchanging ideas and future plans for software development. We welcome attendance from users and package developers (both current and prospective). The meeting will consist of a number of longer talks selected from abstracts and short ‘lightning’ presentations to maximize the opportunities for participants to highlight their work. A developer workshop to build skills on a topic of shared interest will also be held.

# Attached: data records
- - -
Entry 1:
The following is a simulated powder XRD pattern of Tm2MnNi3. It was derived from the PBE geometry in Alexandria, using Cu Kα, 1.54184 Å.
Kinematic intensities with the Lorentz-polarization factor, no thermal factor.

Main lines, low angle first (10 to 90 degrees two-theta):
34.8 deg, I = 67; 38.9 deg, I = 98; 41.5 deg, I = 100; 41.9 deg, I = 58; 65.1 deg, I = 42; 71.8 deg, I = 28

Atomic structure:
```
Tm2MnNi3
1.0
5.1588 0.0000 0.0000
-2.5794 4.4677 0.0000
0.0000 0.0000 8.1304
Tm Mn Ni
4 2 6
direct
0.3333 0.6667 0.0619
0.3333 0.6667 0.4381
0.6667 0.3333 0.5619
0.6667 0.3333 0.9381
0.0000 0.0000 0.0000
0.0000 0.0000 0.5000
0.1684 0.3368 0.7500
0.1684 0.8316 0.7500
0.3368 0.1684 0.2500
0.6632 0.8316 0.7500
0.8316 0.1684 0.2500
0.8316 0.6632 0.2500
```

Entry 2:
The following is a simulated powder XRD pattern of Pa2Zn5Pt. It was derived from the PBE geometry in Alexandria, using Cu Kα, 1.54184 Å.
Kinematic intensities with the Lorentz-polarization factor, no thermal factor.

Main lines, low angle first (10 to 90 degrees two-theta):
29.9 deg, I = 40; 33.9 deg, I = 100; 35.2 deg, I = 56; 37.7 deg, I = 29; 43.4 deg, I = 35; 49.7 deg, I = 23

Atomic structure:
```
Pa2Zn5Pt
1.0
2.0837 -8.0662 0.0000
2.0837 8.0662 0.0000
0.0000 0.0000 8.8665
Pa Zn Pt
4 10 2
direct
0.0000 0.0000 0.0000
0.0000 0.0000 0.5000
0.1940 0.8060 0.7500
0.8060 0.1940 0.2500
0.1893 0.8107 0.1087
0.1893 0.8107 0.3913
0.3479 0.6521 0.0205
0.3479 0.6521 0.4795
0.3962 0.6038 0.7500
0.6038 0.3962 0.2500
0.6521 0.3479 0.5205
0.6521 0.3479 0.9795
0.8107 0.1893 0.6087
0.8107 0.1893 0.8913
0.4459 0.5541 0.2500
0.5541 0.4459 0.7500
```

Entry 3:
The following is a simulated powder XRD pattern of AlB5. It was derived from the PBE geometry in Alexandria, using Cu Kα, 1.54184 Å.
Kinematic intensities with the Lorentz-polarization factor, no thermal factor.

Main lines, low angle first (10 to 90 degrees two-theta):
19.5 deg, I = 100; 36.1 deg, I = 79; 37.4 deg, I = 85; 39.2 deg, I = 74; 46.1 deg, I = 61; 64.6 deg, I = 78

Atomic structure:
```
AlB5
1.0
1.9681 -4.5476 0.0000
1.9681 4.5476 0.0000
0.0000 0.0000 2.9733
Al B
1 5
direct
0.0000 0.0000 0.0000
0.2969 0.7031 0.5000
0.3908 0.6092 0.0000
0.5000 0.5000 0.5000
0.6092 0.3908 0.0000
0.7031 0.2969 0.5000
```

~~~~~

This entry pairs a crystal structure of KOsCl2F6 with its simulated powder diffraction line list. Radiation: Cu Ka. Structure: a structure optimized by DFT (GGA-PBE).

Most intense lines, 2θ from 15° to 90°, most intense first:
hkl	2θ/deg	I_rel
1 1 0	17.52	100
1 1 2	27.44	70
0 2 0	20.95	58
2 0 2	35.45	24
2 1 3	44.34	22
1 4 1	46.52	19
3 1 2	49.56	14
2 0 0	28.29	13

Structure:
a b c (Å): 6.3083 8.4618 8.4972
angles (deg): 90.00 90.00 90.00
Fractional coordinates of all 20 atoms:
K 0.2500 0.2500 0.1264
K 0.7500 0.7500 0.8736
Os 0.2500 0.7500 0.2612
Os 0.7500 0.2500 0.7388
Cl 0.2500 0.6319 0.7426
Cl 0.2500 0.8681 0.7426
Cl 0.7500 0.1319 0.2574
Cl 0.7500 0.3681 0.2574
F 0.0328 0.7500 0.4150
F 0.0337 0.7500 0.1000
- - -

Key dates. Email proposals for longer talks / lightning talks to (Title and abstract of up to 300 words) by Friday 7th October 2016.

Location. All presentations will take place at QUT Gardens Point in Q228.


9:00am-9:55am Project Updates (Prof Martin Morgan)
9:55am-10:30am Lightning talks

Soroor Hediyeh Zadeh 'OPPAR: Outlier Profile and Pathway Analysis'
Ted Wong 'Anaquin - quantitative controls with spike-ins'
Jovana Maksimovic 'A Bioconductor Workflow for Methylation Array Analysis'
Jason Ross 'The Development of the R/Bioconductor build of Harman’
Dario Strbenac 'ClassifyR: Classification Convenience in R’
Goknur Giner ‘Introducing R-LadiesAU’
10:30am-11:00am Morning Tea
11:00am-12:30pm Research talks (4 x 20 minutes each)
Session Chair : Jovana Maksimovic

Belinda Phipson ‘Analysing DNA methylation array data with missMethyl: going beyond differential methylation’
Tim Peters ‘DMRcate, a complete DMR-calling Bioconductor package’
Andy Chen ‘Analyzing Bisulfite sequencing methylation data using edgeR’
Hien To ‘rnaCleanR: A tool for quantifying and removing DNA contamination from strand-specific RNA-seq’
12:30pm-1:20pm Lunch
3:00pm-3:30pm Research talks (5 x 20 minutes each)
Session Chair : Stephen Pederson

Charity Law ‘Glimma, getting greater graphics for your genes’
Davis McCarthy ‘scater: pre-processing, quality control, normalisation and visualisation for single-cell RNA-seq data’
Goknur Giner ‘FRY: A Fast Approximation to ROAST Gene Set Test with Mean Aggregated Set Statistics’
Monther Alhamdoosh ‘Combining multiple tools outperforms individual methods in gene set enrichment analyses’
Cynthia Liu ‘KRLMM: a SNP genotyping method for both common and low-frequency variants in any organism’
3:00pm-3:30pm Afternoon Tea
3:30pm-4:10pm Keynote: Keynote: Gordon Smyth ‘A short history of limma and edgeR’
4:10pm-4:30pm Discussion and closing remarks

# What comes next are data records, not part of the page
/*
Simulated powder diffractogram of Rb3I2O2 for Cu Ka, from the GGA-PBE geometry in Alexandria.
Peak positions follow from Bragg's law for the DFT cell and can differ from measured ones.

Peak list (10 most intense, 10 to 90 degrees two-theta, in order of rising 2θ)
| 2theta | I/Imax |
| --- | --- |
| 24.1 | 100 |
| 25.8 | 45 |
| 28.1 | 21 |
| 29.7 | 16 |
| 32.4 | 29 |
| 35.6 | 60 |
| 36.2 | 18 |
| 41.9 | 24 |
| 45.0 | 16 |
| 56.6 | 17 |

Crystal structure
```
Rb3I2O2
1.0
-2.4782 2.7638 10.3588
2.4782 -2.7638 10.3588
2.4782 2.7638 -10.3588
Rb I O
3 2 2
Cartesian
0.0000 0.0000 0.0000
0.0000 0.0000 7.2862
0.0000 0.0000 13.4315
0.0000 0.0000 3.5437
0.0000 0.0000 17.1740
0.6798 2.7638 0.0000
1.7984 0.0000 10.3588
```

=====

The following is a simulated X-ray diffraction stick pattern of LaCd7Hg12. It was derived from a DFT-relaxed cell (GGA-PBE, Alexandria), using copper Kα.
Intensities are scaled so that the largest is 100.

Most intense lines, 10 to 90 degrees two-theta, in order of rising 2θ:
11.50°, intensity 31, hkl 1 1 0
19.98°, intensity 47, hkl 2 1 1
25.88°, intensity 90, hkl 3 0 1
30.73°, intensity 100, hkl 3 1 2
32.91°, intensity 54, hkl 4 0 0
36.93°, intensity 88, hkl 4 2 0
40.60°, intensity 97, hkl 4 2 2
48.78°, intensity 69, hkl 5 0 3
64.01°, intensity 52, hkl 6 2 4
67.79°, intensity 34, hkl 7 3 2

Structural model:
```
data_LaCd7Hg12
_chemical_formula_sum 'La2 Cd14 Hg24'
_cell_length_a 10.8847
_cell_length_b 10.8847
_cell_length_c 10.8847
_cell_angle_alpha 90.00
_cell_angle_beta 90.00
_cell_angle_gamma 90.00
_symmetry_space_group_name_H-M 'I m -3'
_symmetry_Int_Tables_number 204
_symmetry_space_group_name_Hall '-I 2 2 3'
loop_
_atom_site_label
_atom_site_type_symbol
_atom_site_fract_x
_atom_site_fract_y
_atom_site_fract_z
_atom_site_occupancy
La1 La 0.0000 0.0000 0.0000 1
Cd1 Cd 0.0000 0.0000 0.5000 1
Cd2 Cd 0.2500 0.2500 0.2500 1
Hg1 Hg 0.0000 0.2760 0.1522 1
```

=====

No. 1
Tb12Ho5Pu: simulated powder diffraction line list (Cu Kα, 1.54184 Å), based on the GGA-PBE geometry in Alexandria.
Peak positions follow from Bragg's law for the DFT cell and can differ from measured ones.

Main lines, by angle (2θ from 10° to 80°):
2theta, Rel. int.
11.78, 1
30.93, 100
35.87, 51
51.63, 36
61.41, 43
64.46, 12
76.03, 6

```
data_Tb12Ho5Pu
_chemical_formula_sum 'Tb12 Ho5 Pu1'
_cell_length_a 10.623
_cell_length_b 10.623
_cell_length_c 5.005
_cell_angle_alpha 90.00
_cell_angle_beta 90.00
_cell_angle_gamma 90.02
_space_group_name_H-M_alt 'P 1'
_space_group_IT_number 1
loop_
_space_group_symop_operation_xyz
'x,y,z'
loop_
_atom_site_label
_atom_site_fract_x
_atom_site_fract_y
_atom_site_fract_z
Tb1 0.000 0.331 0.500
Tb2 0.000 0.669 0.500
Tb3 0.165 0.835 0.000
Tb4 0.168 0.500 0.000
Tb5 0.331 0.000 0.500
Tb6 0.334 0.666 0.500
Tb7 0.500 0.168 0.000
Tb8 0.500 0.832 0.000
Tb9 0.666 0.334 0.500
Tb10 0.669 0.000 0.500
Tb11 0.832 0.500 0.000
Tb12 0.835 0.165 0.000
Ho1 0.165 0.165 0.000
Ho2 0.334 0.334 0.500
Ho3 0.500 0.500 0.000
Ho4 0.666 0.666 0.500
*/

Travel scholarships.

A number of scholarships ($500 AUD each) are available for students and Bioconductor package developers to help with the cost of travel to attend the meeting. To apply, please submit a brief statement (200 words or less) describing your interest in the meeting. If you are a package developer or maintainer please tell us the package(s) you work on. The due date for applications is Friday 7th October 2016. Please send applications to and include SCHOLARSHIP in the subject line.

Registration IS CLOSED.



Dr Matt Ritchie, Molecular Medicine Division, The Walter and Eliza Hall Institute of Medical Research, Melbourne, Australia

Dr Jovana Maksimovic, Murdoch Childrens Research Institute, Melbourne, Australia

Mr Stephen Pederson, Bioinformatics Centre, The University of Adelaide, Adelaide, Australia

The organisers are grateful to AGTA (, ABACBS ( and CSL Limited ( for their financial support of this meeting.